File:
/*
Record 1
This entry pairs a crystal structure of SrNi2N2 with its calculated X-ray powder pattern. Radiation: a wavelength of 1.5418 Å. Structure: a PBE-relaxed structure.
Kinematic intensities with the Lorentz-polarization factor, no thermal factor.

Main lines, in order of falling intensity (2θ from 10° to 90°):
- 2θ 33.73, I 100
- 2θ 42.73, I 42
- 2θ 53.69, I 33
- 2θ 72.50, I 15
- 2θ 64.92, I 14
- 2θ 55.07, I 12
- 2θ 89.08, I 12
- 2θ 69.76, I 12

Cell lengths 3.4145, 3.4145, 6.0582 Å; angles 90.00, 90.00, 120.00 degrees
Space group P-3m1 (No. 164)
One atom of each set of equivalent atoms:
Sr 0.0000 0.0000 0.0000 (multiplicity 1)
Ni 0.3333 0.6667 0.3820 (multiplicity 2)
N 0.3333 0.6667 0.7039 (multiplicity 2)

Record 2
This entry pairs a crystal structure of TmAlGa with its calculated X-ray powder pattern. Radiation: a wavelength of 1.5418 Å. Structure: a PBE-relaxed structure.
Kinematic intensities with the Lorentz-polarization factor, no thermal factor.

Main lines, in order of falling intensity (2θ from 10° to 90°):
- 2θ 34.98, I 100
- 2θ 40.29, I 50
- 2θ 22.94, I 45
- 2θ 54.40, I 28
- 2θ 69.82, I 27
- 2θ 69.10, I 20
- 2θ 73.24, I 8
- 2θ 53.57, I 7

Cell lengths 4.4768, 4.4768, 3.4217 Å; angles 90.00, 90.00, 120.00 degrees
Space group P-6m2 (No. 187)
One atom of each set of equivalent atoms:
Tm 0.0000 0.0000 0.0000 (multiplicity 1)
Al 0.3333 0.6667 0.5000 (multiplicity 1)
Ga 0.6667 0.3333 0.5000 (multiplicity 1)

=====

Record 1
For LiBe, a crystal structure in the Materials Project, relaxed with PBE gives the calculated powder XRD pattern in this record (Cu Kα).
Lines closer than 0.1° are merged.

Principal peaks in the range 2θ = 10–80°, in order of rising 2θ:
| 2θ (°) | d/Å | I_rel |
| --- | --- | --- |
| 31.83 | 2.811 | 2 |
| 45.64 | 1.988 | 100 |
| 66.52 | 1.406 | 16 |

Crystal structure
```
LiBe
1.0
2.8112 0.0000 0.0000
0.0000 2.8112 0.0000
0.0000 0.0000 2.8112
Li Be
1 1
Cartesian
0.0000 0.0000 0.0000
1.4056 1.4056 1.4056
```

***

Record 2
For LiBeO3, a crystal structure in the Materials Project, relaxed with PBE gives the calculated powder XRD pattern in this record (Cu Kα).
Lines closer than 0.1° are merged.

Principal peaks in the range 2θ = 10–80°, in order of rising 2θ:
| 2θ (°) | d/Å | I_rel |
| --- | --- | --- |
| 25.40 | 3.507 | 65 |
| 36.22 | 2.480 | 4 |
| 44.76 | 2.025 | 100 |
| 52.16 | 1.754 | 67 |
| 58.88 | 1.568 | 13 |
| 76.88 | 1.240 | 31 |

Crystal structure
```
LiBeO3
1.0
3.5072 0.0000 0.0000
0.0000 3.5072 0.0000
0.0000 0.0000 3.5072
Li Be O
1 1 3
Cartesian
0.0000 0.0000 0.0000
1.7536 1.7536 1.7536
0.0000 1.7536 1.7536
1.7536 0.0000 1.7536
1.7536 1.7536 0.0000
```

***

Record 3
For LiBePO5, a crystal structure in the Materials Project, relaxed with PBE gives the calculated powder XRD pattern in this record (Cu Kα).
Lines closer than 0.1° are merged.

Principal peaks in the range 2θ = 10–80°, in order of rising 2θ:
| 2θ (°) | d/Å | I_rel |
| --- | --- | --- |
| 14.45 | 6.129 | 91 |
| 21.75 | 4.086 | 54 |
| 23.59 | 3.772 | 32 |
| 29.61 | 3.017 | 100 |
| 30.84 | 2.899 | 91 |
| 37.60 | 2.392 | 36 |

Crystal structure
```
LiBePO5
1.0
9.8038 0.0000 0.0000
0.0000 7.8526 0.0000
0.0000 0.0000 4.7850
Li Be P O
4 4 4 20
Cartesian
1.8082 1.6296 0.0000
3.0937 5.5559 2.3925
6.7102 2.2966 0.0000
7.9956 6.2229 2.3925
1.4338 3.0767 2.3697
3.4681 7.0030 4.7622
6.3357 0.8496 2.3697
8.3701 4.7759 4.7622
1.5395 4.7011 4.7547
3.3624 0.7748 2.3622
6.4414 7.0778 4.7547
8.2643 3.1515 2.3622
0.0352 0.6784 4.6994
0.1084 5.2225 4.5429
1.7408 3.3889 3.9399
1.8155 4.4012 1.4672
2.3563 1.8239 1.8638
2.5456 5.7502 4.2563
3.0864 0.4749 3.8597
3.1611 7.3152 1.5474
4.7935 1.2962 2.1504
4.8668 4.6047 2.3069
4.9371 3.2479 4.6994
5.0103 6.5564 4.5429
6.6427 0.5374 3.9399
6.7174 7.3777 1.4672
7.2582 2.1024 1.8638
7.4475 6.0287 4.2563
7.9884 3.4514 3.8597
8.0630 4.4637 1.5474
9.6954 2.6301 2.1504
9.7687 7.1742 2.3069
```

***

Record 4
*/
Wanted:
Please quote only the lines further above with the word "are" in them.
Solution:
Lines closer than 0.1° are merged.
Lines closer than 0.1° are merged.
Lines closer than 0.1° are merged.